[To do]
What is needed: say how many lines of the calculation results below hold the word "cell", as a bare number.

[Given]
/*
# 1
VASP calculation (GGA-PBE) on a relaxed structure of KCa2Nb3O10.

Geometry as POSCAR:
```
KCa2Nb3O10
1.0
1.976 -14.968 0.000
1.976 14.968 0.000
0.000 0.000 7.872
K Ca Nb O
2 4 6 20
Direct
0.243 0.757 0.500
0.757 0.243 0.000
0.072 0.928 0.510
0.076 0.924 0.004
0.924 0.076 0.504
0.928 0.072 0.010
0.356 0.644 0.755
0.358 0.642 0.248
0.498 0.502 0.747
0.502 0.498 0.247
0.642 0.358 0.748
0.644 0.356 0.255
0.000 0.000 0.211
0.000 0.000 0.711
0.126 0.874 0.745
0.128 0.872 0.256
0.297 0.703 0.790
0.299 0.701 0.209
0.359 0.641 0.500
0.382 0.618 0.000
0.435 0.565 0.680
0.438 0.562 0.304
0.482 0.518 0.983
0.518 0.482 0.483
0.562 0.438 0.804
0.565 0.435 0.180
0.618 0.382 0.500
0.641 0.359 0.000
0.701 0.299 0.709
0.703 0.297 0.290
0.872 0.128 0.756
0.874 0.126 0.245
```

Excess energy over the best structure of this formula in the dataset: 7 meV/atom

# 2
VASP calculation (GGA-PBE) on a relaxed structure of KCa2Nb3O10.

Geometry as POSCAR:
```
KCa2Nb3O10
1.0
7.855 0.000 0.000
0.000 7.808 0.000
-1.853 0.000 15.077
K Ca Nb O
4 8 12 40
Direct
0.131 0.250 0.010
0.364 0.750 0.977
0.636 0.250 0.023
0.869 0.750 0.990
0.202 0.750 0.351
0.216 0.250 0.351
0.288 0.750 0.638
0.293 0.250 0.658
0.707 0.750 0.342
0.712 0.250 0.362
0.784 0.750 0.649
0.798 0.250 0.649
0.000 0.000 0.500
0.000 0.500 0.500
0.068 0.505 0.786
0.068 0.995 0.786
0.429 0.003 0.213
0.429 0.497 0.213
0.500 0.000 0.500
0.500 0.500 0.500
0.571 0.503 0.787
0.571 0.997 0.787
0.932 0.005 0.214
0.932 0.495 0.214
0.044 0.250 0.469
0.048 0.250 0.781
0.058 0.051 0.627
0.058 0.449 0.627
0.070 0.750 0.737
0.083 0.545 0.903
0.083 0.955 0.903
0.191 0.012 0.255
0.191 0.488 0.255
0.247 0.567 0.489
0.247 0.933 0.489
0.315 0.011 0.769
0.315 0.489 0.769
0.388 0.033 0.095
0.388 0.467 0.095
0.416 0.750 0.226
0.436 0.250 0.475
0.453 0.250 0.258
0.500 0.036 0.628
0.500 0.464 0.628
0.500 0.536 0.372
0.500 0.964 0.372
0.547 0.750 0.742
0.564 0.750 0.525
0.584 0.250 0.774
0.612 0.533 0.905
0.612 0.967 0.905
0.685 0.511 0.231
0.685 0.989 0.231
0.753 0.067 0.511
0.753 0.433 0.511
0.809 0.512 0.745
0.809 0.988 0.745
0.917 0.045 0.097
0.917 0.455 0.097
0.930 0.250 0.263
0.942 0.551 0.373
0.942 0.949 0.373
0.952 0.750 0.219
0.956 0.750 0.531
```

Excess energy over the best structure of this formula in the dataset: 0 meV/atom

# 3
VASP calculation (GGA-PBE) on a relaxed structure of KCaZrNbO6.

Geometry as POSCAR:
```
KCaZrNbO6
1.0
0.000 4.111 4.111
4.111 0.000 4.111
4.111 4.111 0.000
K Ca Zr Nb O
1 1 1 1 6
Direct
0.000 0.000 0.000
0.500 0.500 0.500
0.750 0.750 0.750
0.250 0.250 0.250
0.006 0.006 0.494
0.006 0.494 0.006
0.006 0.494 0.494
0.494 0.006 0.006
0.494 0.006 0.494
0.494 0.494 0.006
```

# 4
VASP calculation (GGA-PBE) on a relaxed structure of KCaNi2.

Geometry as POSCAR:
```
KCaNi2
1.0
0.000 3.522 3.522
3.522 0.000 3.522
3.522 3.522 0.000
K Ca Ni
1 1 2
Direct
0.000 0.000 0.000
0.500 0.500 0.500
0.250 0.250 0.250
0.750 0.750 0.750
```

Which calculated total energy belongs to each record? In order, -8.03 -8.03 -7.92 -3.03 eV per atom.

* * * * *

A relaxed CsB3O5 crystal. Source: the Materials Project database, functional r²SCAN.

Calculated values
Magnetization ... 0.0 μB/cell
Energy of formation ... -2.5981 eV per atom

Geometry as CIF:
```
data_CsB3O5
_symmetry_space_group_name_H-M 'P 1'
_symmetry_Int_Tables_number 1
_cell_length_a 5.9440
_cell_length_b 8.4584
_cell_length_c 9.7518
_cell_angle_alpha 90.00
_cell_angle_beta 90.00
_cell_angle_gamma 90.00
loop_
_symmetry_equiv_pos_as_xyz
'x,y,z'
loop_
_atom_site_label
_atom_site_type_symbol
_atom_site_fract_x
_atom_site_fract_y
_atom_site_fract_z
O1 O 0.1277 0.5179 0.8963
O2 O 0.7470 0.2828 0.5618
O3 O 0.0483 0.2301 0.7234
O4 O 0.8286 0.4691 0.7380
O5 O 0.2530 0.7828 0.9382
O6 O 0.2470 0.2172 0.4382
O7 O 0.0901 0.4399 0.5572
O8 O 0.3286 0.0309 0.2620
O9 O 0.8723 0.0179 0.6037
O10 O 0.5483 0.2699 0.2766
O11 O 0.1714 0.9691 0.7620
O12 O 0.6714 0.5309 0.2380
O13 O 0.3723 0.4821 0.3963
O14 O 0.4099 0.5601 0.0572
O15 O 0.6277 0.9821 0.1037
*/

[Response]
1